WWDC predictions!

Oh, and there _are_ DVDs people tend to look over and over again: Music Video DVDs. Great concerts and the likes. Why not just start with music video singles? They'd be ~50 MB each in 'good enough' quality MPEG-4/AAC.
Yes, I do like watching music videos and downloading them. But, really, is that going to justify a, lets say, $400 vPod purchase, so you can watch music videos on a tiny screen?

Look at it this way, a more realistic price for a full fledged vPod would be like $500, in line with the top of the line iPod. Now, you could just buy a Windows subnotebook for that amount and have a 12" screen, or the like. Even at the rate prices are going, you'd think the iBook will slip to the sub $800 range, or the like.

I just think we're looking at a specialized market.

None of this, of course, means that I wouldn't run out and buy such a device, because, afterall, its an Apple, so its going to be cool! :)

BTW: not to be off topic, but is anyone here going to WWDC besides me? :)
Two pieces of information that were posted today are of interest. One is the approval of FireWire-less. ;) Correct me if I'm wrong, but Apple's always been a few months, or more, ahead on FireWire production, so maybe this will be in Tiger? Maybe well see an add-in card in the next buncha months? I don't know where development is, of course, but youe know it'd find its way into PowerBooks and PowerMacs for sure.

The piece is interrupted by data records >
=====
{"formula": "C8H9NO", "method": "wB97M-V/def2-TZVPD", "total_energy_ha": -440.0591, "lumo_ev": 0.6, "orbital_gap_ev": 8.6, "elements": ["O", "N", "C", "C", "C", "C", "C", "C", "C", "C", "H", "H", "H", "H", "H", "H", "H", "H", "H"], "coordinates": [[-2.504, -1.247, 0.353], [-1.022, 0.508, 0.280], [1.458, 0.754, 0.540], [0.306, -0.434, -1.349], [2.705, 0.554, -0.253], [-0.948, -0.819, -1.619], [-2.239, -1.111, 1.523], [-1.866, -0.199, -0.614], [0.302, 0.380, -0.063], [-1.337, 0.167, 1.677], [3.180, -0.290, 0.038], [1.603, 1.041, 1.539], [3.434, 1.314, 0.005], [-0.551, -0.210, 2.249], [1.211, -0.809, -1.882], [-1.411, -1.489, -2.252], [-2.088, 0.906, 2.053], [2.430, 0.627, -1.321], [-2.663, 0.358, -0.904]]}

=====
=====
The data records stop here >

Also, according to Mac OS Rumors, IBM should have the 970FX chips up to 2.6GHz and then use the 975 to hit 3.0GHz in September, which makes sense.

I can wait until September! ;)
New Cinema Displays have been rumored for a while and I truly believe they may see the light this June. Although little details about the display are in the public domain, one thing is almost certain, they will be enclosed in some type of metallic enclosure.
Go3iverson said:
Yes, I do like watching music videos and downloading them. But, really, is that going to justify a, lets say, $400 vPod purchase, so you can watch music videos on a tiny screen?

Look at it this way, a more realistic price for a full fledged vPod would be like $500, in line with the top of the line iPod. Now, you could just buy a Windows subnotebook for that amount and have a 12" screen, or the like. Even at the rate prices are going, you'd think the iBook will slip to the sub $800 range, or the like.

I just think we're looking at a specialized market.

None of this, of course, means that I wouldn't run out and buy such a device, because, afterall, its an Apple, so its going to be cool! :)

BTW: not to be off topic, but is anyone here going to WWDC besides me? :)

I think the idea will be to be able to transport your favorite movies quickly and easily, and preview them on the device if you so desire. I would imagine that true viewing would still occur on a tv or monitor of some kind.
The iPod is great for displaing text and it would have to have a higher resolution screen in order to display pictures. I can see the addition of a color screen using a connector of some sort and connecting the screen to the iPod.
I think everybody is missing a important point. Didnt Jobs say when he announed iChat AV that windows had nothing like this but when they did, iChat would become compatable with it. Well msn supports web cams, and voice calls. I can't be the only mac user reduced to using msn becuase all my windows mates use msn, and I can't be the only one who is sick of not being able to use a webcam with it. How about iChat that lets us talk to people who are using msn. It already works with AOL, and it would mean microsoft wouldn't have to develope msn for mac any more which they haven't seemed very keen on
well he wasnt right there msn users (windoze 1s anyway) have been able to video confrence for ages! before ichat AV and as for msn messenger for Mac its a joke I actualy use msn messenger 6.2 using a windoze XP virtual PC and its still faster and more relable!!! :S (doesnt disconect every 2 mins) it also mean that I can have display pictures and moving emoticons i could if i wanted have voice conersations and video confrencing but as i dont have a mic or an isight (which i was planning on purchasing when they brough out a mac ersion which was video chat compatible) I cant at the moment! but if aple maid ichat compatible with msn (in 10.4) it would be GRRRREAAAATTT!!!
There might be an anouncement on delivering a 3.5Ghz 970fx system by the end of the year. And if that really happens, the megahethz gap will sieze to exsist.
jackdahi said:
There might be an anouncement on delivering a 3.5Ghz 970fx system by the end of the year. And if that really happens, the megahethz gap will sieze to exsist.

If they announced a 3.2GHz machine the gap wpuls sieze to exsist. Thats the fastest PC I can find out at the moment. Intel and others have slowed down the pace recently remember when the (2 GHz) G5 was announced last WWDC the fastest PC was 3.06 and now its only 3.2/3.5 not a big jump in nearly a year so if appl can keep bumping speeds for the moment then they will o dobt close the gap.
I think photographics will be the next fronteer & intergration before video, or we may see both symeltaneously. How much consumor quality video can you capture on 40+ GB? That's also why i believe there will be color screens, it's much easier to look at a 2" screen when taking a picture or recording video. How many handy cams digital cameras have a small screen like that? The new iPod will not be used as a video viewing device but mearly a capturing device to intergrate with iPhoto & iMovie for the future. its all about "iLife" the digital hub and its radical strategies.

Of course the quality wont be pro standards but effectivley consumer standards.

There may be third party devices partnering with apple to produce a lense or it may be built in to the new iPod itself.

This is where i see iPod standing out and becoming different from the iPod mini. The mini may play music if that's just what your into, but the top model iPod may be gearing up with more features. We always want more so we'll spend the extra few bucks, just for those extra features. one less device to carry on holidays, party's etc

And what about those rumors that apple was developing iPhoto for win? what happened there? mabey this has somthing to do with it.

Of course, we'll just have to wait and see.
I would like to see a new iApp of some sort. And an update to all of the other iApps. An update to safari and some new hardware. "iNav"a new hardware product from Apple........?
claims the following for WWDC:

Mono PPC 975 To 2.2 GHz AGP 8x FSB 1.1 GHz Superdrive

Dual PPC 975 to 2.6 GHz PCI-Express train 16x FSB 1.3 GHz
Superdrive Extreme (double layer)

Dual PPC 975 to 3 GHz PCI-Express train 16x FSB 1.5 GHz
Superdrive Extreme (double layer)

Name of the French Site is Croquer dans la Pomme and apparently have a long history of nailing predictions on the nose.
I still don't think we'll see 3GHZ machines announced at WWDC, but I'll happily declare my ignorance if I'm wrong.

I think they'll top out at around 2.5 GHZ.

Jumping from 2-3 GHZ in a year is a huge leap. Kudos if they pull it off, but I'm playing it cautious.

p.s. Whatever their top end G5 is, I'm buying. I can't hold out any longer.


And how does Hypertransport 2/PCI-Extreme/PCI-Express play into this? Isn't PCI-Express an Intel thing? Wouldn't Apple want to move their own (or at least a standards-based) technology? Is PCI-Express standards-based? Is PCI-Extreme dead? Does Hypertransport overlap with PCI-Express or are they two totally different things?
3.2 GHz even. And no, I don't think Steve would even _dare_ to announce something less than 3 GHz (not counting the non-highend machines). ;-)
3.0ghz is a long shot but there is no reason for Apple to introduce anything less than 2.5ghz. If they fail to produce a 3ghz machine a lot of investors will be dissapointed. That would be the second time this year that Steve Jobs would fail to reach his goal. First the iTunes Music store 100m downloads and now a 3ghz machine.
jackdahi said:
3.0ghz is a long shot but there is no reason for Apple to introduce anything less than 2.5ghz. If they fail to produce a 3ghz machine a lot of investors will be dissapointed. That would be the second time this year that Steve Jobs would fail to reach his goal. First the iTunes Music store 100m downloads and now a 3ghz machine.

Well, Steve did not promise a 100m. He said the target was 100m, and obviously expected the Pepsi promo to do better, but Pepsi screwed up on the availability and distribution.

However, if he fails to get 3ghz, then this would be realy bad.